I am engaging normieland and was wonder if someone has a list of all lies and manipulation spread by this fiat propaganda outlet.
Wait! I found a list.
There is a big difference between being dead wrong and actively lying.
The first example of the communist genocide in Ukraine / Holodomor is a good example. Obviously the NYT wasn't lying in order to defend the Commies. We just didn't know. The iron curtain was hard to look through and it was hard to differentiate fact from propaganda and rumors. They were dead wrong, embarrassing for the NYT but no malice here.
I have to disagree. The New York Times Moscow correspondent was Walter Duranty. He became known as Stalin's apologist. He famously said of Stalin's mass executions "You can't make an omelet without breaking eggs." The New York Times was filled with communist sympathizers(it still is) who actively sought to assist the Soviet Union. Check out this book.
The New York Times Moscow correspondent was Walter Duranty. He became known as Stalin's apologist.
I would not call that scenario "lying" either. That's the textbook definition of being mislead. No malice here.
I don't want to argue that the NYT is biased. Of course they are. But sympathizing with literally commies is a bit of bold claim, don't you think?
Remember, the world was a different place in the 20s and 30s. New York was a hotbed of communist thought. There is also no doubt in my mind that the New York Times was actively engaged in lying. Duranty lived in Moscow post revolution. He was aware of the reality
HAHAHA. That's a pretty bad record.
Krugman's column had enough to require a book length rebuttal and subsequently support an entire podcast.
Search for the book "The Gray Lady Winked: How the New York Times's Misreporting, Distortions and Fabrications Radically Alter History"
A list? Too many to practically list. I think a few whoppers might be effective. For instance, The coverage of Iraq's "Weapons of mass destruction", Assad's alleged chemical attack on children, Wuhan "wet market" crap. Who's got time to pick them all out?
Go back a bit further and look at their coverage of the Soviet Union famines.
That's #1 on the list I posted.
Good! I hadn't looked at the list yet.
Fox News' amount of lies/clear lying to mislead the right wing base are significantly higher and more damaging. I know good people who fell into the cult-like lying by Fox and other right wing propaganda outlets.
**Attached: materials data**
Entry 1:
# Cs6I2BrO | the Alexandria database | GGA-PBE | relaxed
# Electronic total energy (eV/f.u.): -26.94
data_Cs6I2BrO
_chemical_formula_sum 'Cs36 I12 Br6 O6'
_symmetry_space_group_name_H-M 'R -3 m'
_symmetry_Int_Tables_number 166
_symmetry_space_group_name_Hall '-R 3 2"'
_cell_length_a 8.7894
_cell_length_b 8.7894
_cell_length_c 50.9924
_cell_angle_alpha 90.00
_cell_angle_beta 90.00
_cell_angle_gamma 120.00
loop_
_atom_site_label
_atom_site_type_symbol
_atom_site_fract_x
_atom_site_fract_y
_atom_site_fract_z
Cs1 Cs 0.0190 0.5095 0.1327
Cs2 Cs 0.0241 0.5121 0.7018
I1 I 0.0000 0.0000 0.1421
I2 I 0.0000 0.0000 0.2591
Br1 Br 0.0000 0.0000 0.4148
O1 O 0.0000 0.0000 0.0000
O2 O 0.0000 0.0000 0.5000

---

Entry 2:
# Cs2PI2Br4 | the Alexandria database | GGA-PBE | relaxed
# Electronic total energy (eV/f.u.): -24.60
data_Cs2PI2Br4
_chemical_formula_sum 'Cs4 P2 I4 Br8'
_symmetry_space_group_name_H-M 'I 4/m m m'
_symmetry_Int_Tables_number 139
_symmetry_space_group_name_Hall '-I 4 2'
_cell_length_a 8.132
_cell_length_b 8.132
_cell_length_c 10.630
_cell_angle_alpha 90.00
_cell_angle_beta 90.00
_cell_angle_gamma 90.00
loop_
_atom_site_label
_atom_site_type_symbol
_atom_site_fract_x
_atom_site_fract_y
_atom_site_fract_z
Cs1 Cs 0.000 0.500 0.250
P1 P 0.000 0.000 0.000
I1 I 0.000 0.000 0.255
Br1 Br 0.218 0.218 0.000
**Back to the text**
Power struggles use left right center top bottom so ppl can "belong" to the banner of their choosing. In reality they just pick form the limited options that are made available so an illusion of freedom by limited curated choice can help tame the flock.
Did you think that my post was contest? I really don't give a fuck about FOX, the thing is they didn't put the hit piece, it was NYT.
lies are good .... no-coiners will see FUD over and over and they believe it .... once Bitcoin hits ATH then they question everything they heard and will go into the rabbit hole
Price is the signal, everything else is factually noise :)